_To do_
Could you filter the material further below: keep the lines with the word "total"?
_Data_
~~~
# KSrTl4Pt2 | OQMD | GGA-PBE | relaxed
# Raw total energy in eV/atom: -3.358
# Total magnetization in μB per atom: 0.001
data_KSrTl4Pt2
_chemical_formula_sum 'K2 Sr2 Tl8 Pt4'
_space_group_name_H-M_alt 'A m m 2'
_space_group_IT_number 38
_space_group_name_Hall 'A 2 -2'
_cell_length_a 8.5186
_cell_length_b 4.4474
_cell_length_c 11.5001
_cell_angle_alpha 90.00
_cell_angle_beta 90.00
_cell_angle_gamma 90.00
loop_
_atom_site_label
_atom_site_fract_x
_atom_site_fract_y
_atom_site_fract_z
K1 0.0000 0.0000 0.0000
Sr1 0.5000 0.0000 0.1209
Tl1 0.1962 0.0000 0.7091
Tl2 0.2994 0.0000 0.4116
Pt1 0.0000 0.0000 0.2811
Pt2 0.5000 0.0000 0.8326
~~~
_Result_
# Raw total energy in eV/atom: -3.358